**Entries**
<<<
Record 1
Entry from the Open Molecules 2025 dataset: 2 unconnected molecules or ions with the total composition Br2H3N2P at a distorted geometry (ωB97M-V with the def2-TZVPD basis set).

Geometry as ORCA input:
```
! wB97M-V def2-TZVPD RIJCOSX def2/J DEFGRID3
* xyz 0 1
H -0.470 2.438 -0.567
N -1.272 1.708 -0.364
N -0.813 0.620 -0.806
H -1.555 -0.240 -0.785
Br 5.040 -0.730 -0.197
P 2.874 -0.680 0.175
Br 2.522 1.475 0.275
H 3.000 -0.872 1.448
*
```

Results
* max |F|: 0.0689 hartree/bohr
* ΔE to the lowest compared entry with this formula, charge and spin: 36.1 kcal per mole

=====

Record 2
Entry from the Open Molecules 2025 dataset: a molecular structure, C6H13KO4 at a distorted geometry (ωB97M-V with the def2-TZVPD basis set).

Geometry as ORCA input:
```
! wB97M-V def2-TZVPD RIJCOSX def2/J DEFGRID3
* xyz 0 1
O -0.895 -1.034 1.803
C -0.122 -0.170 1.186
O -0.548 0.880 0.731
O 1.156 -0.315 1.456
C 2.102 -0.361 0.369
C -2.324 -0.926 1.653
H -2.856 -1.254 2.555
H -2.669 0.094 1.433
C -2.721 -1.818 0.504
H -2.324 -1.384 -0.424
H -2.270 -2.807 0.653
H -3.816 -1.882 0.464
C 3.448 -0.746 0.930
H 2.200 0.620 -0.114
H 1.816 -1.101 -0.390
H 3.932 0.143 1.355
H 4.072 -1.123 0.108
H 3.350 -1.537 1.685
K -0.044 3.576 0.207
O 0.364 2.750 -2.164
C -0.308 2.232 -3.247
H 0.327 1.520 -3.819
H -1.215 1.653 -2.952
H -0.655 2.992 -3.983
*
```

Results
* max |F|: 0.0739 hartree/bohr
* ΔE to the lowest compared entry with this formula, charge and spin: 0.0 kcal per mole

=====

| no. | highest occupied orbital energy (eV) | HOMO-LUMO gap (eV) | DFT total energy (eV) |
| --- | --- | --- | --- |
| 1 | -9.48 | 9.583 | -152401.204 |
| 2 | -6.10 | 5.658 | -30946.643 |

* * * * *

An isolated molecule of C16H20N4O in a non-equilibrium geometry, computed with wB97M-V/def2-TZVPD.

Geometry (Å):
1 C 5.75 0.14 0.86
2 N 4.60 -0.19 0.07
3 N 4.58 -1.27 -0.72
4 N 3.47 -1.36 -1.33
5 C 2.68 -0.32 -0.96
6 C 1.39 0.05 -1.33
7 C 0.86 1.18 -0.74
8 C -0.55 1.54 -1.11
9 O -1.00 1.33 -2.22
10 N -1.27 2.11 -0.11
11 C -2.71 2.24 -0.20
12 C -3.41 1.17 0.66
13 C -2.86 -0.20 0.36
14 C -3.14 -0.83 -0.78
15 C -2.57 -2.15 -1.17
16 C -1.94 -2.88 0.02
17 C -1.07 -1.91 0.81
18 C -1.94 -0.80 1.39
19 C 1.60 1.96 0.17
20 C 2.89 1.62 0.53
21 C 3.42 0.47 -0.03
22 H 6.50 -0.62 0.68
23 H 6.14 1.12 0.58
24 H 5.49 0.15 1.92
25 H 0.82 -0.51 -2.05
26 H -0.88 2.13 0.82
27 H -3.01 3.24 0.11
28 H -2.96 2.10 -1.25
29 H -4.48 1.21 0.44
30 H -3.27 1.41 1.72
31 H -3.79 -0.36 -1.50
32 H -3.35 -2.77 -1.62
33 H -1.82 -1.98 -1.95
34 H -1.35 -3.72 -0.33
35 H -2.73 -3.27 0.67
36 H -0.55 -2.43 1.61
37 H -0.33 -1.47 0.14
38 H -1.31 -0.02 1.83
39 H -2.56 -1.20 2.21
40 H 1.17 2.86 0.57
41 H 3.46 2.23 1.22

Calculated values
electronic energy = -915.952124 Eh
E_HOMO = -8.75 eV
energy relative to the best compared isomer or geometry (same formula, charge and spin) = 104.21 kJ/mol
structure (SMILES) = Cn1nnc2cc(C(=O)NCCC3=CCCCC3)ccc21
LUMO = 0.451 eV

* * * * *

46
Properties=species:S:1:pos:R:3 method="wB97M-V/def2-TZVPD" charge=+1 relative_energy_kcal_mol=37.39 energy_ev=-54385.372 gap_ev=8.18 e_lumo_ha=-0.10798 e_homo_ha=-0.409
Pt -0.02634 0.24658 0.19034
S -0.79368 -1.64665 -0.85217
S 0.42013 1.06145 2.67867
O 1.39093 1.07740 3.71302
O 0.78019 1.79008 1.41000
O 0.09658 -0.34277 2.16716
N -1.81819 -2.58714 1.51306
N 1.41686 2.38511 -2.21736
N 2.00415 0.21942 -1.64231
N -0.61682 1.31483 -1.48523
N -0.06187 -3.64707 0.79076
C -2.71934 2.30355 -2.13608
C 2.90325 -0.76538 -1.54137
C -1.98245 1.32799 -1.53440
C -2.03369 3.36466 -2.72991
C -0.66980 3.35537 -2.72488
C -1.05758 1.76793 3.26933
C -2.82063 -1.55168 1.66905
C 3.70865 1.64727 -2.49438
C 4.22537 -0.61440 -1.90284
C 2.40057 1.37837 -2.10555
C 0.04317 2.30622 -2.11816
C 4.62754 0.62627 -2.38584
C -1.47130 -3.48983 2.61953
C -0.91301 -2.65457 0.54846
C -0.44907 -4.43040 1.96745
H 2.53317 -1.70476 -1.14794
H -2.45947 -0.76107 2.32709
H -3.04950 -1.12904 0.69591
H -0.81768 2.79416 3.54435
H -0.11079 4.14781 -3.20749
H -3.72277 -1.99241 2.08887
>>>
**Assignment**
Please reproduce the contents further above from the first line to the one with "-1.64231" exactly.
**Completed**
Record 1
Entry from the Open Molecules 2025 dataset: 2 unconnected molecules or ions with the total composition Br2H3N2P at a distorted geometry (ωB97M-V with the def2-TZVPD basis set).

Geometry as ORCA input:
```
! wB97M-V def2-TZVPD RIJCOSX def2/J DEFGRID3
* xyz 0 1
H -0.470 2.438 -0.567
N -1.272 1.708 -0.364
N -0.813 0.620 -0.806
H -1.555 -0.240 -0.785
Br 5.040 -0.730 -0.197
P 2.874 -0.680 0.175
Br 2.522 1.475 0.275
H 3.000 -0.872 1.448
*
```

Results
* max |F|: 0.0689 hartree/bohr
* ΔE to the lowest compared entry with this formula, charge and spin: 36.1 kcal per mole

=====

Record 2
Entry from the Open Molecules 2025 dataset: a molecular structure, C6H13KO4 at a distorted geometry (ωB97M-V with the def2-TZVPD basis set).

Geometry as ORCA input:
```
! wB97M-V def2-TZVPD RIJCOSX def2/J DEFGRID3
* xyz 0 1
O -0.895 -1.034 1.803
C -0.122 -0.170 1.186
O -0.548 0.880 0.731
O 1.156 -0.315 1.456
C 2.102 -0.361 0.369
C -2.324 -0.926 1.653
H -2.856 -1.254 2.555
H -2.669 0.094 1.433
C -2.721 -1.818 0.504
H -2.324 -1.384 -0.424
H -2.270 -2.807 0.653
H -3.816 -1.882 0.464
C 3.448 -0.746 0.930
H 2.200 0.620 -0.114
H 1.816 -1.101 -0.390
H 3.932 0.143 1.355
H 4.072 -1.123 0.108
H 3.350 -1.537 1.685
K -0.044 3.576 0.207
O 0.364 2.750 -2.164
C -0.308 2.232 -3.247
H 0.327 1.520 -3.819
H -1.215 1.653 -2.952
H -0.655 2.992 -3.983
*
```

Results
* max |F|: 0.0739 hartree/bohr
* ΔE to the lowest compared entry with this formula, charge and spin: 0.0 kcal per mole

=====

| no. | highest occupied orbital energy (eV) | HOMO-LUMO gap (eV) | DFT total energy (eV) |
| --- | --- | --- | --- |
| 1 | -9.48 | 9.583 | -152401.204 |
| 2 | -6.10 | 5.658 | -30946.643 |

* * * * *

An isolated molecule of C16H20N4O in a non-equilibrium geometry, computed with wB97M-V/def2-TZVPD.

Geometry (Å):
1 C 5.75 0.14 0.86
2 N 4.60 -0.19 0.07
3 N 4.58 -1.27 -0.72
4 N 3.47 -1.36 -1.33
5 C 2.68 -0.32 -0.96
6 C 1.39 0.05 -1.33
7 C 0.86 1.18 -0.74
8 C -0.55 1.54 -1.11
9 O -1.00 1.33 -2.22
10 N -1.27 2.11 -0.11
11 C -2.71 2.24 -0.20
12 C -3.41 1.17 0.66
13 C -2.86 -0.20 0.36
14 C -3.14 -0.83 -0.78
15 C -2.57 -2.15 -1.17
16 C -1.94 -2.88 0.02
17 C -1.07 -1.91 0.81
18 C -1.94 -0.80 1.39
19 C 1.60 1.96 0.17
20 C 2.89 1.62 0.53
21 C 3.42 0.47 -0.03
22 H 6.50 -0.62 0.68
23 H 6.14 1.12 0.58
24 H 5.49 0.15 1.92
25 H 0.82 -0.51 -2.05
26 H -0.88 2.13 0.82
27 H -3.01 3.24 0.11
28 H -2.96 2.10 -1.25
29 H -4.48 1.21 0.44
30 H -3.27 1.41 1.72
31 H -3.79 -0.36 -1.50
32 H -3.35 -2.77 -1.62
33 H -1.82 -1.98 -1.95
34 H -1.35 -3.72 -0.33
35 H -2.73 -3.27 0.67
36 H -0.55 -2.43 1.61
37 H -0.33 -1.47 0.14
38 H -1.31 -0.02 1.83
39 H -2.56 -1.20 2.21
40 H 1.17 2.86 0.57
41 H 3.46 2.23 1.22

Calculated values
electronic energy = -915.952124 Eh
E_HOMO = -8.75 eV
energy relative to the best compared isomer or geometry (same formula, charge and spin) = 104.21 kJ/mol
structure (SMILES) = Cn1nnc2cc(C(=O)NCCC3=CCCCC3)ccc21
LUMO = 0.451 eV

* * * * *

46
Properties=species:S:1:pos:R:3 method="wB97M-V/def2-TZVPD" charge=+1 relative_energy_kcal_mol=37.39 energy_ev=-54385.372 gap_ev=8.18 e_lumo_ha=-0.10798 e_homo_ha=-0.409
Pt -0.02634 0.24658 0.19034
S -0.79368 -1.64665 -0.85217
S 0.42013 1.06145 2.67867
O 1.39093 1.07740 3.71302
O 0.78019 1.79008 1.41000
O 0.09658 -0.34277 2.16716
N -1.81819 -2.58714 1.51306
N 1.41686 2.38511 -2.21736
N 2.00415 0.21942 -1.64231